Activity:
The reader should filter the lines further down: keep the lines with the word "eV".

Input:
********
C26H34CuN3O4P2 | ωB97M-V/def2-TZVPD

Geometry as ORCA input:
```
! RIJCOSX wB97M-V def2-TZVPD def2/J DEFGRID3
* xyz 1 2
Cu -0.441 -0.752 -0.187
P 1.018 -2.064 -1.140
C 0.444 -2.024 -2.880
C -0.635 -0.986 -3.068
N -1.152 -0.382 -1.981
C -2.139 0.525 -2.114
C -2.739 0.730 -3.356
C -2.230 0.094 -4.492
C -1.119 -0.722 -4.347
C -2.538 1.264 -0.858
P -1.077 2.120 -0.085
H -0.615 -1.208 -5.186
H -3.621 1.357 -3.393
H -2.696 0.225 -5.467
H -3.328 1.986 -1.097
H -2.882 0.550 -0.096
H 1.261 -1.819 -3.557
H 0.033 -3.029 -3.108
H 1.820 2.502 -4.532
O 2.687 2.905 -4.397
H 3.308 2.151 -4.310
H 2.407 3.356 -0.331
O 2.750 2.802 0.381
H 3.681 2.689 0.134
C -1.407 3.805 -0.752
H -2.488 3.982 -0.843
H -0.956 4.537 -0.070
H -0.938 3.892 -1.742
C -1.680 2.361 1.636
H -0.791 2.471 2.275
H -2.294 3.271 1.706
H -2.252 1.487 1.968
C 1.249 -3.861 -0.924
H 1.791 -4.315 -1.779
H 1.811 -4.033 0.006
H 0.252 -4.324 -0.849
C 2.697 -1.367 -1.015
H 3.060 -1.631 -0.006
H 3.391 -1.768 -1.769
H 2.631 -0.268 -1.080
O -2.534 -2.778 1.035
C -1.732 -2.313 1.827
N -1.533 -2.706 3.154
C -0.547 -1.915 3.846
C -0.030 -1.050 2.685
O 0.929 -0.271 2.745
N -0.792 -1.295 1.585
C -1.258 -1.105 4.931
C -1.254 0.290 4.937
C -2.051 0.991 5.858
C -2.822 0.290 6.789
C -2.784 -1.112 6.817
C -1.988 -1.806 5.900
C 0.578 -2.788 4.370
C 1.219 -2.523 5.584
C 2.271 -3.347 6.003
C 2.685 -4.420 5.210
C 2.053 -4.666 3.983
C 1.002 -3.844 3.563
H -2.183 -3.358 3.576
H -0.616 0.833 4.236
H -2.053 2.085 5.828
H -3.455 0.833 7.494
H -3.369 -1.674 7.549
H -1.937 -2.897 5.939
H 0.893 -1.674 6.190
H 2.760 -3.137 6.956
H 3.503 -5.062 5.540
H 2.369 -5.492 3.345
H 0.498 -4.036 2.612
*
```

HOMO-LUMO gap (spin up / spin down) = 8.0 / 6.1 eV

---

C23H17ClMnN3O2S2 | ωB97M-V/def2-TZVPD

Geometry as ORCA input:
```
! RIJCOSX wB97M-V def2-TZVPD def2/J DEFGRID3
* xyz 1 4
Mn -0.533 0.184 -1.398
C 0.387 1.550 -6.238
S -1.330 1.544 -5.699
C -1.225 1.304 -3.981
S 0.357 1.208 -3.199
N -2.374 1.244 -3.372
N -2.186 1.111 -2.027
C -3.064 1.393 -1.139
C -2.585 1.506 0.233
C -3.392 2.011 1.181
C -2.900 2.579 2.419
C -1.588 2.717 2.600
C -0.587 2.101 1.700
N -1.139 1.366 0.435
H 0.327 1.658 -7.320
H 0.887 0.614 -6.004
H 0.937 2.397 -5.834
H -4.091 1.643 -1.387
H -4.445 2.112 0.950
H -3.610 2.999 3.117
H -1.190 3.264 3.446
H 0.204 2.790 1.395
Cl 3.496 -5.188 -1.681
C 2.204 -4.050 -1.856
C 1.224 -4.277 -2.824
C 0.185 -3.383 -3.004
C 0.141 -2.257 -2.191
O -0.817 -1.311 -2.341
C 1.098 -2.048 -1.192
C 0.884 -0.840 -0.404
O -0.416 -0.945 0.370
C 2.156 -2.942 -1.034
H 1.294 -5.159 -3.445
H -0.566 -3.538 -3.765
H 1.644 -0.428 0.250
H 2.913 -2.783 -0.278
C -0.595 0.183 1.108
C -0.052 0.757 2.173
C 0.764 0.352 3.308
C 1.839 1.142 3.716
C 2.615 0.750 4.793
C 2.321 -0.427 5.468
C 1.250 -1.212 5.069
C 0.468 -0.826 3.993
H 2.073 2.058 3.185
H 3.451 1.361 5.107
H 2.928 -0.731 6.311
H 1.018 -2.125 5.601
H -0.378 -1.427 3.684
*
```

HOMO-LUMO gap (spin up / spin down) = 5.9 / 7.0 eV

---

C5H6O | ωB97M-V/def2-TZVPD

Geometry as ORCA input:
```
! RIJCOSX wB97M-V def2-TZVPD def2/J DEFGRID3
* xyz 0 1
C -1.790 0.388 -0.278
C -0.990 -0.922 -0.233
C 0.410 -0.598 0.042
C 1.506 -0.147 0.272
C 2.762 0.535 0.505
O 2.849 1.534 1.184
H -1.767 0.878 0.699
H -1.342 1.074 -1.003
H -2.831 0.208 -0.561
H -1.074 -1.465 -1.181
H -1.380 -1.586 0.548
H 3.647 0.101 0.006
*
```

HOMO-LUMO gap = 10.6 eV
structure (SMILES) = CCC#CC=O

---

C7H7F7O3S | ωB97M-V/def2-TZVPD

Geometry as ORCA input:
```
! RIJCOSX wB97M-V def2-TZVPD def2/J DEFGRID3
* xyz 0 1
O 1.868 -1.260 -0.838
S 0.699 -0.446 -0.727
O 0.029 0.099 -1.864
C -0.470 -1.242 0.349
C -1.929 -0.852 0.161
C -2.569 -2.017 0.892
O -1.845 -3.156 0.428
C -0.505 -2.767 0.120
C 1.194 0.995 0.352
F 1.885 0.517 1.393
F 0.054 1.543 0.828
C 2.049 2.078 -0.390
F 2.480 1.585 -1.551
F 3.111 2.373 0.356
C 1.309 3.407 -0.682
F 2.124 4.213 -1.371
F 0.210 3.181 -1.401
F 0.973 4.011 0.460
H -0.144 -1.052 1.374
H -2.159 -0.951 -0.901
H -2.195 0.143 0.505
H -2.445 -1.921 1.978
H -3.623 -2.168 0.668
H 0.196 -3.279 0.777
********

Done:
HOMO-LUMO gap (spin up / spin down) = 8.0 / 6.1 eV
HOMO-LUMO gap (spin up / spin down) = 5.9 / 7.0 eV
HOMO-LUMO gap = 10.6 eV